Since 1999 there has been a nearly 30% decline in accidental gun deaths, with a 50% drop in deaths for children under 19. This is a remarkable decrease in unintentional gun mortality when you consider that during the same fifteen years, the civilian gun arsenal has probably increased by nearly 50%. So what’s going on? Are gun owners becoming more careful with their guns? Are gun manufacturers making guns that are more resistant to accidental discharges? Are gun safety programs working beyond anyone’s wildest dreams?

docs versus glocks If you listen to the NRA and the NSSF, they’ll tell you that their safety programs are simply the best and most effective that they can be. The NSSF runs a program called ChildSafe, which they claim is responsible for sending more than 36 million safety “kits” to more than 15,000 law enforcement agencies nationwide. The kits basically consist of a little brochure and a gun lock which are then handed out free of charge by the cops to anyone who walks through the door. The NSSF also sponsors occasional safety programs at participating retailers like BassPro, and has produced some thoroughly stupid videos telling parents how to sit around the dinner table and talk to their kids about guns.

(Unrelated to this piece: records of crystals)
- - -
No. 1
Entry from the Alexandria database: a relaxed Al2TlPdI crystal (PBE-GGA).

It has space group P4/mmm (No. 123), with a = 4.837 Å, b = 4.837 Å, c = 6.141 Å, α = 90.00°, β = 90.00° and γ = 90.00°. The asymmetric unit holds Al at (0.000, 0.500, 0.000), Tl at (0.000, 0.000, 0.500), Pd at (0.500, 0.500, 0.000) and I at (0.500, 0.500, 0.500).

As for the crystal system: tetragonal.


No. 2
Entry from the Alexandria database: a relaxed Pm2AlI crystal (PBE-GGA).

It has space group R-3m (No. 166, hexagonal axes), with a = 4.3216 Å, b = 4.3216 Å, c = 23.1585 Å, α = 90.00°, β = 90.00° and γ = 120.00°. The asymmetric unit holds Pm at (0.0000, 0.0000, 0.2399), Al at (0.0000, 0.0000, 0.5000) and I at (0.0000, 0.0000, 0.0000).

The value obtained for the relative energy among the computed polymorphs is 0.015 eV per atom. As for the crystal system: trigonal.


No. 3
Entry from the Alexandria database: a relaxed PmAlI crystal (PBE-GGA).

It has space group P2_1/m (No. 11), with a = 6.139 Å, b = 4.425 Å, c = 7.660 Å, α = 90.00°, β = 101.99° and γ = 90.00°. The asymmetric unit holds Pm at (0.077, 0.250, 0.299), Al at (0.394, 0.750, 0.509) and I at (0.241, 0.250, 0.926).

The value obtained for the relative energy among the computed polymorphs is 0.412 eV per atom. As for the crystal system: monoclinic.


No. 4
Entry from the Alexandria database: a relaxed Pm2AlI crystal (PBE-GGA).

It has space group P4/mmm (No. 123), with a = 3.643 Å, b = 3.643 Å, c = 8.570 Å, α = 90.00°, β = 90.00° and γ = 90.00°. The asymmetric unit holds Pm at (0.000, 0.000, 0.223), Al at (0.500, 0.500, 0.000) and I at (0.500, 0.500, 0.500).

The value obtained for the relative energy among the computed polymorphs is 0.013 eV per atom. As for the crystal system: tetragonal.


Number 1: ρ 5.7 g cm⁻³, formation energy from raw total energies 0.0 eV per formula unit. Number 2: ρ 5.9 g cm⁻³, formation energy from raw total energies -2.2 eV per formula unit. Number 3: ρ 4.9 g cm⁻³, formation energy from raw total energies -1.6 eV per formula unit. Number 4: ρ 6.5 g cm⁻³, formation energy from raw total energies -2.3 eV per formula unit.

=====

Record 1
Compound: ThZn2Ru2
Source: the Alexandria database
Functional: PBE
Structure: relaxed

Results
**ΔE_f**: -0.603 eV per formula unit
**Offset from the most stable computed form**: 96.3 meV/atom
**Magnetization**: 0.013 μB/cell

Geometry as CIF:
```
data_ThZn2Ru2
_chemical_formula_sum 'Th8 Zn16 Ru16'
_symmetry_space_group_name_H-M 'F d d d'
_symmetry_Int_Tables_number 70
_cell_length_a 5.402
_cell_length_b 8.633
_cell_length_c 16.446
_cell_angle_alpha 90.00
_cell_angle_beta 90.00
_cell_angle_gamma 90.00
loop_
_symmetry_equiv_pos_as_xyz
'x,y,z'
'-x,-y,-z'
'-x+1/4,-y+1/4,z'
'x+1/4,y+1/4,-z'
'x,-y+1/4,-z+1/4'
'-x,y+1/4,z+1/4'
'-x+1/4,y,-z+1/4'
'x+1/4,-y,z+1/4'
'x,y+1/2,z+1/2'
'-x,-y+1/2,-z+1/2'
'-x+1/4,-y+3/4,z+1/2'
'x+1/4,y+3/4,-z+1/2'
'x,-y+3/4,-z+3/4'
'-x,y+3/4,z+3/4'
'-x+1/4,y+1/2,-z+3/4'
'x+1/4,-y+1/2,z+3/4'
'x+1/2,y,z+1/2'
'-x+1/2,-y,-z+1/2'
- - -

The NRA safety program, Eddie Eagle, has been around since 1988, and its safety pamphlets and other teaching aids have “reached” 28 million schoolchildren, whatever the word ‘reached’ actually means. I’ll tell you what it means. It means that someone in Fairfax has mailed out 28 million pieces of paper to various schools around the United States. Maybe not just to schools; maybe to summer camps, maybe to the local VFW, maybe to this or that shooting range, maybe to who knows where. Back in 1991 a graduate nursing student looked at some gun safety programs and judged Eddie Eagle to have all the necessary content to teach good gun safety rules to kids. There was only one little problem: the author also stated that there had never been any study which could determine whether Eddie Eagle was effective as a teaching tool.

=====
An optimized crystal structure of Nd3Tl3CrSe8. Source: the Alexandria database, functional PBE.

* total DFT energy (no corrections): -75.64 eV/cell
* space group: R-3m, No. 166

Cell: 9.082 9.082 9.082 Å, 54.93 54.93 54.93°
Sites, in units of the cell vectors:
Nd (0.000, 0.500, 0.500)
Nd (0.500, 0.000, 0.500)
Nd (0.500, 0.500, 0.000)
Tl (0.000, 0.000, 0.500)
Tl (0.000, 0.500, 0.000)
Tl (0.500, 0.000, 0.000)
Cr (0.000, 0.000, 0.000)
Se (0.213, 0.213, 0.769)
Se (0.213, 0.769, 0.213)
Se (0.231, 0.787, 0.787)
Se (0.261, 0.261, 0.261)
Se (0.739, 0.739, 0.739)
Se (0.769, 0.213, 0.213)
Se (0.787, 0.231, 0.787)
Se (0.787, 0.787, 0.231)

An optimized crystal structure of Ac2BeInPt6. Source: the Alexandria database, functional PBE.

* total DFT energy (no corrections): -58.90 eV/cell
* energy relative to the elements: -0.80 eV/atom
* space group: C2/m, No. 12

Cell: 6.043 6.043 7.604 Å, 114.24 114.24 59.55°
Sites, in units of the cell vectors:
Ac (0.231, 0.231, 0.197)
Ac (0.769, 0.769, 0.803)
Be (0.000, 0.000, 0.500)
In (0.500, 0.500, 0.000)
Pt (0.237, 0.237, 0.671)
Pt (0.237, 0.712, 0.682)
Pt (0.288, 0.763, 0.318)
Pt (0.712, 0.237, 0.682)
Pt (0.763, 0.288, 0.318)
Pt (0.763, 0.763, 0.329)

An optimized crystal structure of Si2NiPt6. Source: the Alexandria database, functional PBE.

* total DFT energy (no corrections): -57.06 eV/cell
* space group: C2/m, No. 12

Cell: 5.922 5.922 8.025 Å, 127.30 127.30 37.39°
Sites, in units of the cell vectors:
Si (0.121, 0.121, 0.276)
Si (0.879, 0.879, 0.724)
Ni (0.500, 0.500, 0.000)
Pt (0.165, 0.165, 0.010)
Pt (0.199, 0.199, 0.646)
Pt (0.498, 0.498, 0.671)
Pt (0.502, 0.502, 0.329)
Pt (0.801, 0.801, 0.354)
Pt (0.835, 0.835, 0.990)

An optimized crystal structure of BaTaHg2. Source: the Alexandria database, functional PBE.

* total DFT energy (no corrections): -12.38 eV/cell
* energy relative to the elements: 0.50 eV/atom
* space group: P4/mmm, No. 123

Cell: 5.622 5.622 3.215 Å, 90.00 90.00 90.00°
Sites, in units of the cell vectors:
Ba (0.000, 0.000, 0.000)
Ta (0.500, 0.500, 0.000)
Hg (0.000, 0.500, 0.500)
Hg (0.500, 0.000, 0.500)

An optimized crystal structure of BaSrSnAs2. Source: the Alexandria database, functional PBE.

* total DFT energy (no corrections): -41.16 eV/cell
* energy relative to the elements: -0.73 eV/atom
* space group: P2/c, No. 13

Cell: 7.845 6.350 7.009 Å, 90.00 115.97 90.00°
Sites, in units of the cell vectors:
Ba (0.000, 0.222, 0.250)
Ba (0.000, 0.778, 0.750)
Sr (0.500, 0.499, 0.750)
Sr (0.500, 0.501, 0.250)
Sn (0.500, 0.000, 0.000)
Sn (0.500, 0.000, 0.500)
As (0.178, 0.280, 0.844)
As (0.178, 0.720, 0.344)
As (0.822, 0.280, 0.656)
As (0.822, 0.720, 0.156)

An optimized crystal structure of IrBr. Source: the Alexandria database, functional PBE.

* total DFT energy (no corrections): -29.49 eV/cell
* space group: P6_3/mmc, No. 194

Cell: 5.138 5.138 7.295 Å, 90.00 90.00 120.00°
Sites, in units of the cell vectors:
Ir (0.333, 0.667, 0.083)
Ir (0.333, 0.667, 0.417)
Ir (0.667, 0.333, 0.583)
=====

And that’s why programs like ChildSafe and Eddie Eagle can’t be taken seriously, for the simple reason that mailing out some literature on anything doesn’t mean that anyone actually received it, or read it, or changed their behavior in any way at all. The fact that safety brochures were being mailed to schools and gun locks were being mailed to police departments and gun mortality declined during the same years may appear to represent some kind of cause and effect, but nobody has ever conducted a study to see if these two factors are connected in any way, shape or form. And this connection becomes even more problematic when we include non-fatal shootings over the same period of years.

When we examine non-fatal accidental shootings, the five-year average between 2001-2006 and 2009-2013 drops by a whopping 7%. And remember how gun mortality for kids declined by 50%? For this same age group in terms of non-fatal accidents the number has basically remained the same since 2003. Now you can’t tell me that people who shoot themselves accidentally are aiming at less lethal parts of their bodies. What’s happening is that the same medical advances which result each year in a higher proportion of non-fatal gun assaults to fatal gun assaults is making unintentional gun injuries less lethal as well.

**Calculated crystals from another source follow**
/*
The following is a GGA-PBE calculation of an optimized crystal structure of CaPr8In6, from Alexandria.

Cell: 9.3750 9.3750 19.9733 Å, 90.00 90.00 120.00°
Space group R-3 (No. 148, hexagonal axes)
Unique sites:
Ca 0.0000 0.0000 0.0000 x3
Pr 0.0000 0.0000 0.3359 x6
Pr 0.0006 0.3303 0.1145 x18
In 0.0010 0.3360 0.6125 x18

**DOS at the Fermi energy**: 1.44 states/eV per atom
**Formation energy from the elements**: -3.8 eV per formula unit

***

The following is a GGA-PBE calculation of an optimized crystal structure of CaPrIn, from Alexandria.

Cell: 9.336 5.394 7.840 Å, 90.00 90.06 90.00°
Space group C2/m (No. 12)
Unique sites:
Ca 0.167 0.000 0.379 x4
Pr 0.166 0.000 0.897 x4
In 0.000 0.500 0.215 x4

**DOS at the Fermi energy**: 0.41 states/eV per atom
**Formation energy from the elements**: -0.8 eV per formula unit
**Polymorph energy (0 for the lowest one)**: 170 meV/atom

* * * * *

1.
A plane-wave DFT calculation with GGA-PBE was carried out for Tb6TmSc2 after structural relaxation.

Lattice parameters (Å, degrees): 6.5285 9.3120 9.3120 88.09 79.15 79.15
Fractional coordinates of all 18 atoms:
Tb: 0.5007 0.6168 0.3289
Tb: 0.9993 0.6711 0.3832
Tb: 0.4993 0.3832 0.6711
Tb: 0.0007 0.3289 0.6168
Tb: 0.7335 0.0499 0.4615
Tb: 0.7665 0.5385 0.9501
Tb: 0.2665 0.9501 0.5385
Tb: 0.2335 0.4615 0.0499
Tb: 0.3138 0.7915 0.9696
Tb: 0.1862 0.0304 0.2085
Tb: 0.6862 0.2085 0.0304
Tb: 0.8138 0.9696 0.7915
Tm: 0.2500 0.1388 0.8612
Tm: 0.7500 0.8612 0.1388
Sc: 0.1257 0.6555 0.7106
Sc: 0.3743 0.2894 0.3445
Sc: 0.8743 0.3445 0.2894
Sc: 0.6257 0.7106 0.6555

Computed properties:
The value obtained for the energy of formation is 0.14 eV per atom. The value obtained for the distance to the lowest polymorph of the same formula is 0.0616 eV per atom. Its volume is 30.337 A^3/atom.

=====

2.
A plane-wave DFT calculation with GGA-PBE was carried out for Tb6Tm4Sc after structural relaxation.

Lattice parameters (Å, degrees): 6.4768 6.4768 9.5990 109.72 109.72 90.00
Fractional coordinates of all 11 atoms:
Tb: 0.8583 0.4866 0.3449
Tb: 0.4866 0.8583 0.3449
Tb: 0.5134 0.5134 0.6551
Tb: 0.0000 0.5000 0.0000
Tb: 0.1417 0.1417 0.6551
Tb: 0.5000 0.0000 0.0000
Tm: 0.0485 0.6893 0.7379
Tm: 0.9515 0.9515 0.2621
Tm: 0.6893 0.0485 0.7379
Tm: 0.3107 0.3107 0.2621
Sc: 0.5000 0.5000 0.0000

Computed properties:
The value obtained for the energy of formation is 0.30 eV per atom. The value obtained for the distance to the lowest polymorph of the same formula is 0.1686 eV per atom. Its volume is 32.171 A^3/atom.

=====

3.
A plane-wave DFT calculation with GGA-PBE was carried out for Tb12Tm5Sc2 after structural relaxation.

Lattice parameters (Å, degrees): 9.0542 8.9793 8.4545 91.47 90.00 120.28
Fractional coordinates of all 19 atoms:
Tb: 0.9159 0.8319 0.1152
Tb: 0.0326 0.6986 0.7632
Tb: 0.6659 0.6986 0.7632
Tb: 0.1769 0.7451 0.3231
Tb: 0.5682 0.7451 0.3231
Tb: 0.4421 0.8843 0.6622
Tb: 0.5579 0.1157 0.3378
Tb: 0.8231 0.2549 0.6769
Tb: 0.4318 0.2549 0.6769
Tb: 0.9674 0.3014 0.2368
*/

The NRA uses its Eddie Eagle program, among other things, to fight against doctors who want to caution patients about the risks presented by guns. They argue that a more effective process would be for doctors to distribute Eddie Eagle brochures. I would be the first person to stand up and loudly proclaim that Eddie Eagle should be adopted by every physician once the NRA conducts a valid before-and-after analysis to determine whether the program actually works. But don’t hold your breath – you may turn blue long before the NRA responds.